-- Listing --
- - -
Diffraction record for GdTa3O9. The powder diffractogram is calculated, not measured: it uses a DFT-relaxed cell (PBE, Alexandria) and Cu Kα X-rays.

Structure:
```
GdTa3O9
1.0
5.360 0.000 0.000
0.000 7.556 0.000
-0.355 0.000 8.308
Gd Ta O
2 6 18
Cartesian
0.032 1.889 3.613
4.973 5.667 4.695
0.000 0.000 0.000
0.000 3.778 0.000
2.283 0.052 5.792
2.283 3.726 5.792
2.722 3.830 2.516
2.722 7.505 2.516
0.138 1.889 8.143
0.536 4.242 6.531
0.536 7.092 6.531
1.232 4.089 3.885
1.232 7.245 3.885
1.681 4.161 1.013
1.681 7.174 1.013
1.605 1.889 5.458
2.186 1.889 2.609
2.819 5.667 5.699
3.400 5.667 2.850
3.324 0.383 7.296
3.324 3.395 7.296
3.774 0.311 4.423
3.774 3.467 4.423
4.469 0.464 1.777
4.469 3.314 1.777
4.867 5.667 0.165
```

Most intense lines, 2θ = 15–90°, by angle:
20.1°, I 29
23.5°, I 65
26.6°, I 100
27.7°, I 75
28.9°, I 45
30.6°, I 46
31.2°, I 82
33.5°, I 57
35.8°, I 37
40.4°, I 35
48.2°, I 33
54.4°, I 35


[1]
The following is a computed powder diffraction line list of K4Au6S5. It was derived from a PBE-relaxed structure, using Cu Kα (λ = 1.5418 Å).
Peak positions follow from Bragg's law for the DFT cell and can differ from measured ones.

Structural model:
Cell: 9.837 9.837 10.136 Å, 90.00 90.00 120.00°
Positions (direct):
K1 0.000 0.000 0.000
K2 0.000 0.000 0.500
K3 0.072 0.655 0.250
K4 0.345 0.417 0.250
K5 0.417 0.345 0.750
K6 0.583 0.928 0.250
K7 0.655 0.072 0.750
K8 0.928 0.583 0.750
Au1 0.167 0.450 0.588
Au2 0.167 0.450 0.912
Au3 0.283 0.833 0.588
Au4 0.283 0.833 0.912
Au5 0.450 0.167 0.088
Au6 0.450 0.167 0.412
Au7 0.550 0.717 0.588
Au8 0.550 0.717 0.912
Au9 0.717 0.550 0.088
Au10 0.717 0.550 0.412
Au11 0.833 0.283 0.088
Au12 0.833 0.283 0.412
S1 0.034 0.260 0.750
S2 0.225 0.966 0.750
S3 0.260 0.034 0.250
S4 0.333 0.667 0.046
S5 0.333 0.667 0.454
S6 0.667 0.333 0.546
S7 0.667 0.333 0.954
S8 0.740 0.775 0.750
S9 0.775 0.740 0.250
S10 0.966 0.225 0.250

Top 6 peaks for 2θ = 10–90°, sorted by position:
| d_spacing | Rel. int. |
| --- | --- |
| 8.519 | 65 |
| 6.522 | 100 |
| 3.220 | 74 |
| 3.141 | 83 |
| 3.069 | 76 |
| 2.331 | 85 |

=====

[2]
The following is a computed powder diffraction line list of Nb2CrB2. It was derived from a PBE-relaxed structure, using Cu Kα (λ = 1.5418 Å).
Peak positions follow from Bragg's law for the DFT cell and can differ from measured ones.

Structural model:
Cell: 5.962 5.962 3.264 Å, 90.00 90.00 90.00°
Positions (direct):
Nb1 0.181 0.319 0.000
Nb2 0.319 0.819 0.000
Nb3 0.681 0.181 0.000
Nb4 0.819 0.681 0.000
Cr1 0.000 0.000 0.500
Cr2 0.500 0.500 0.500
B1 0.110 0.610 0.500
B2 0.390 0.110 0.500
B3 0.610 0.890 0.500
B4 0.890 0.390 0.500

Top 6 peaks for 2θ = 10–90°, sorted by position:
| d_spacing | Rel. int. |
| --- | --- |
| 3.264 | 33 |
| 2.666 | 79 |
| 2.201 | 97 |
| 2.065 | 100 |
| 1.885 | 34 |
| 1.291 | 35 |

=====

[3]
The following is a computed powder diffraction line list of Sm2TlIn. It was derived from a PBE-relaxed structure, using Cu Kα (λ = 1.5418 Å).
Peak positions follow from Bragg's law for the DFT cell and can differ from measured ones.

Structural model:
Cell: 5.451 5.451 5.451 Å, 60.00 60.00 60.00°
Positions (direct):
Sm1 0.250 0.250 0.250
Sm2 0.750 0.750 0.750
Tl1 0.000 0.000 0.000
In1 0.500 0.500 0.500

Top 6 peaks for 2θ = 10–90°, sorted by position:
| d_spacing | Rel. int. |
| --- | --- |
| 2.725 | 100 |
| 1.927 | 18 |
| 1.573 | 38 |
| 1.363 | 12 |
| 1.219 | 16 |
| 1.113 | 4 |

=====

[4]
The following is a computed powder diffraction line list of Sr5As3H. It was derived from a PBE-relaxed structure, using Cu Kα (λ = 1.5418 Å).
Peak positions follow from Bragg's law for the DFT cell and can differ from measured ones.

Structural model:
Cell: 9.002 9.002 7.163 Å, 90.00 90.00 120.00°
Positions (direct):
Sr1 0.000 0.249 0.250
Sr2 0.000 0.751 0.750
Sr3 0.249 0.000 0.250
Sr4 0.249 0.249 0.750
Sr5 0.333 0.667 0.000
Sr6 0.333 0.667 0.500
Sr7 0.667 0.333 0.000
Sr8 0.667 0.333 0.500
Sr9 0.751 0.000 0.750
Sr10 0.751 0.751 0.250
As1 0.000 0.393 0.750
As2 0.000 0.607 0.250
- - -
-- Brief --
Count the lines earlier on that contain the word "Alexandria" and give the number alone, please.
-- Result --
1